EDINBURGH — When Nelson Mandela became president in 1994, South Africans were brimming with optimism about the future. The country has vast mineral and human resources. But, instead of post-apartheid leaders ensuring that South Africa would ratchet up the league table of countries with the best economic growth, as China managed to achieve when it shook off the legacy of Chairman Mao from the 1980s, South Africa’s political heavyweights focused on self-enrichment. Years of corruption and mismanagement have taken their toll, with economic growth in steady decline since 2000. Now that the ANC, under President Cyril Ramaphosa, is talking about weeding out the corrupt, the country has another chance to be transformed into one of the world’s economic engines. Marius Oosthuizen, who specialises in business strategy, outlines how business interests are intertwined with national interests. The GIBS specialist sets out a plan for South Africa to gain competitive advantage with a view to becoming a rich nation. – Jackie Cameron
By Marius Oosthuizen*Â
What is South Africa’s Future Strategic Competitive Advantage?
-- begin --
No. 1
A plane-wave DFT calculation with PBE was carried out for an optimized crystal structure of Nd4Er3Tm8.

POSCAR file:
```
Nd4Er3Tm8
1.0
3.450 1.992 11.734
-3.450 1.992 11.734
0.000 -3.984 11.734
Nd Er Tm
4 3 8
direct
0.000 0.000 0.000
0.163 0.163 0.163
0.500 0.500 0.500
0.837 0.837 0.837
0.000 0.500 0.500
0.500 0.000 0.500
0.500 0.500 0.000
0.250 0.250 0.746
0.250 0.746 0.250
0.254 0.750 0.750
0.256 0.256 0.256
0.744 0.744 0.744
0.746 0.250 0.250
0.750 0.254 0.750
0.750 0.750 0.254
```

Properties
The space group is R-3m (166). As for the total energy: -66.71 eV for the cell shown. For the density of states at the Fermi level, the calculation gives 21.66 states/eV/f.u. The calculation puts the total moment at 0.0 μB per formula unit. For the energy relative to the elements, the calculation gives 1.8 eV/f.u.

=====

No. 2
A plane-wave DFT calculation with PBE was carried out for an optimized crystal structure of Nd6Er3Tm.

POSCAR file:
```
Nd6Er3Tm
1.0
5.491 0.000 0.000
0.000 10.293 0.000
-2.270 0.000 12.263
Nd Er Tm
12 6 2
direct
0.008 0.185 0.007
0.008 0.315 0.507
0.104 0.006 0.770
0.104 0.494 0.270
0.423 0.171 0.355
0.423 0.329 0.855
0.577 0.671 0.145
0.577 0.829 0.645
0.896 0.506 0.730
0.896 0.994 0.230
0.992 0.685 0.493
0.992 0.815 0.993
0.425 0.667 0.866
0.425 0.833 0.366
0.500 0.000 0.000
0.500 0.500 0.500
0.575 0.167 0.634
0.575 0.333 0.134
0.000 0.000 0.500
0.000 0.500 0.000
```

Properties
The space group is P2_1/c (14). As for the total energy: -89.17 eV for the cell shown. For the density of states at the Fermi level, the calculation gives 14.75 states/eV/f.u. The calculation puts the total moment at 0.0 μB per formula unit. For the energy relative to the elements, the calculation gives 2.2 eV/f.u.

=====

No. 3
A plane-wave DFT calculation with PBE was carried out for an optimized crystal structure of Nd5Er12Tm2.

POSCAR file:
```
Nd5Er12Tm2
1.0
7.768 -4.626 0.000
7.768 4.626 0.000
-0.306 0.000 8.584
Nd Er Tm
5 12 2
direct
0.000 0.000 0.000
0.231 0.231 0.070
0.294 0.294 0.482
0.706 0.706 0.518
0.769 0.769 0.930
0.032 0.673 0.261
0.075 0.075 0.376
0.181 0.561 0.831
0.327 0.968 0.739
0.439 0.819 0.169
0.444 0.444 0.165
0.556 0.556 0.835
0.561 0.181 0.831
0.673 0.032 0.261
0.819 0.439 0.169
0.925 0.925 0.624
0.968 0.327 0.739
0.326 0.674 0.500
0.674 0.326 0.500
```

Properties
The space group is C2/m (12). As for the total energy: -85.31 eV for the cell shown. For the density of states at the Fermi level, the calculation gives 24.67 states/eV/f.u. The calculation puts the total moment at 0.0 μB per formula unit. For the energy relative to the elements, the calculation gives 2.2 eV/f.u.

=====

No. 4
A plane-wave DFT calculation with PBE was carried out for an optimized crystal structure of Nd6Er5Tm.

POSCAR file:
```
Nd6Er5Tm
1.0
3.121 -5.405 0.000
3.121 5.405 0.000
-2.074 0.000 11.581
Nd Er Tm
6 5 1
direct
0.084 0.417 0.750
0.250 0.250 0.250
0.417 0.084 0.750
0.583 0.916 0.250
0.750 0.750 0.750
0.916 0.583 0.250
0.000 0.000 0.500
-- stop --
### End of the materials data
Every nation, to succeed, must identify that which sets it apart from all others.
In the case of Singapore, it was their geostrategic positioning between a developed West and a developing East. By harnessing labour and later human capital development, they succeeded in positioning the country as a hub for shipping, and later finance and services, transforming Singapore from a fishing village to a global power-house. Today Singapore is ranked 4th on the Global Financial Centres Index which assesses five key areas of business environment, financial sector development, infrastructure factors, human capital and reputation.
In the case of South Korea, they too unlocked their geostrategic and human capital potential, within 60 years, becoming the 12th largest economy globally. They did this first through labour intensive manufacturing in textiles and footwear and later through heavy industry in steel, ship-building and then petrochemicals and electronics.
There are of course many other cases we could learn from, but these are interesting because they are relatively small nations both by population, 5,6 million in the case of Singapore and 51 million in the case of South Korea, and by land mass. But, both nations have in spite thereof risen through the ranks and become economic success stories. In both cases the defining feature of their success was the structural transformation that took place in their economy. In both cases this was brought about through a set of common features, including;
- Policy reforms aimed at opening the country to foreign markets.
- Export-oriented policies that enable local manufacturing.
- Improvement in the business environment, thereby attracting foreign investors.
- Importantly, policies incentivising investment in innovation.
- Investments in education development to produce a high-skilled workforce.
- In the case of South Korea, land reform with compensation, to level the playing field as a starting point in asset ownership.
In both cases the state gave priority to economic development. This meant that as the economic pie grew, so did the distribution of wealth, which gave rise to a higher median income. Today, according to the IMF, Singapore has the seventh highest nominal GDP per capita ahead of the US. South Korea is now among the G20, is ranked 12th by GDP after Canada and Russia.
The lesson for South Africa is that a combination of state planning and private entrepreneurship, harnessing low initial wages, improving education outcomes, and a disciplined labour force producing goods and services for exports, were the stepping stones to economic emancipation. Only later did a shift from labour to capital-intensive industries occur. In both cases a pattern emerged of close cooperation between the state and large often family-owned conglomerates, making the orchestration of economic development possible.
Coordination, focus and investment were the keys to their success.
Critics point out that both of the these nations were under authoritarian rule for the early decades of their development, and Singapore today is really a one-party city-state. I concede that authoritarianism likely simplified the otherwise complex political environment in which the aforementioned reforms took place. However, I would argue that the potential for entrepreneurial activity increases alongside democratic gains, which places South Africa in a better position from which to start a similar evolution.
What do these lessons offer South Africa as we face a general election? They speak directly to the personalities, parties and institutions that characterise our national milieu.
They address the African National Congress (ANC) and make the case that the party cannot hope to achieve economic emancipation if it cannot run Eskom and Transnet effectively, or if it cannot create policy coherence and certainty and if it cannot discipline it’s alliance partners and the public sector labour unions in particular. If corrupt ANC members capture the state owned enterprises (SOEs) for greedy gains, they erode the industrial foundation of the country. If the National Education, Health and Allied Workers’ Union (NEHAWU) is allowed to capture places of higher learning by pursuing short term worker interests, they erode the foundations of our future workforce. If the party captures parliament and other organs of state through factional cadre deployment, it erodes the foundations of the entire national system, leading to irrational decisions, such as the choice not to charge or recall former President Jacob Zuma earlier, thereby discarding an entire decade of national development.
These lessons address the labour unions such as the National Union of Mineworkers (NUM), and the Association of Mineworkers and Construction Union (AMCU) and show that their choice to strike for months on end is not a choice between higher or lower wages, but a choice between precarious jobs today and no jobs tomorrow. Unless we make labour decisions in the context of economic constraints, especially in sectors exposed to global commodity cycles, we simply sacrifice future prospects on the alter of short-term gains, dressing up economic short-sightedness as labour militancy.
# Between two parts of the piece: data records
<<<
First-principles (GGA-PBE) data for a geometry-optimized ZrNi2Sn2 structure, as listed in the Alexandria database.

Lattice parameters (Å, degrees): 7.7053 7.7053 2.9775 90.00 90.00 90.00
Closest atoms and distances in Å follow each position.
Fractional coordinates of all 10 atoms:
Sn1 0.3549 0.8549 0.0000  6 Ni 2.68-2.72, 2 Zr 2.95, 2 Sn 2.98
Sn2 0.8549 0.6451 0.0000  6 Ni 2.68-2.72, 2 Zr 2.95, 2 Sn 2.98
Ni1 0.6507 0.8493 0.5000  6 Sn 2.68-2.72, 2 Ni 2.98
Sn3 0.1451 0.3549 0.0000  6 Ni 2.68-2.72, 2 Zr 2.95, 2 Sn 2.98
Zr1 0.0000 0.0000 0.0000  4 Sn 2.95, 2 Zr 2.98, 8 Ni 3.29
Ni2 0.1507 0.6507 0.5000  6 Sn 2.68-2.72, 2 Ni 2.98
Zr2 0.5000 0.5000 0.0000  4 Sn 2.95, 2 Zr 2.98, 8 Ni 3.29
Ni3 0.3493 0.1507 0.5000  6 Sn 2.68-2.72, 2 Ni 2.98
Ni4 0.8493 0.3493 0.5000  6 Sn 2.68-2.72, 2 Ni 2.98
Sn4 0.6451 0.1451 0.0000  6 Ni 2.68-2.72, 2 Zr 2.95, 2 Sn 2.98

## Properties
Its calculated volume is 177 Å³/cell. The calculation puts the total magnetization at 0.00 μB per cell. For the energy, the calculation gives -5.77 eV/atom.

First-principles (GGA-PBE) data for a geometry-optimized Pr6Dy3Sc structure, as listed in the Alexandria database.

Lattice parameters (Å, degrees): 9.9582 9.9582 7.0013 44.67 44.67 60.00
Closest atoms and distances in Å follow each position.
Fractional coordinates of all 10 atoms:
Pr1 0.6038 0.2632 0.2024  2 Dy 3.32-3.50, 1 Sc 3.43
Pr2 0.9306 0.6038 0.2024  2 Dy 3.32-3.50, 1 Sc 3.43
Sc1 0.8501 0.8501 0.4496  2 Dy 2.94
Dy1 0.0956 0.0956 0.7133  1 Sc 2.94, 1 Dy 3.05
Pr3 0.2632 0.9306 0.2024  2 Dy 3.32-3.50, 1 Sc 3.43
Pr4 0.0958 0.4366 0.6983  2 Dy 3.32-3.50, 1 Sc 3.43
Dy2 0.6048 0.6048 0.1856  1 Sc 2.94, 1 Dy 3.05
Pr5 0.4366 0.7693 0.6983  2 Dy 3.32-3.50, 1 Sc 3.43
Pr6 0.7693 0.0958 0.6983  2 Dy 3.32-3.50, 1 Sc 3.43
Dy3 0.3502 0.3502 0.9493  2 Dy 3.05

## Properties
Its calculated volume is 343 Å³/cell. The calculation puts the total magnetization at 0.00 μB per cell. For the energy, the calculation gives -4.68 eV/atom.

First-principles (GGA-PBE) data for a geometry-optimized Cu3PtAu structure, as listed in the Alexandria database.

Lattice parameters (Å, degrees): 4.5785 4.5943 7.2563 85.07 71.74 75.14
Closest atoms and distances in Å follow each position.
Fractional coordinates of all 10 atoms:
Au1 0.0575 0.8449 0.6025  9 Cu 2.67-2.70, 3 Pt 2.80-2.86
Pt1 0.5600 0.3449 0.5970  9 Cu 2.62-2.72, 3 Au 2.80-2.86
Cu1 0.2530 0.8436 0.2127  7 Cu 2.62-2.80, 2 Pt 2.65-2.66, 3 Au 2.68-2.69
Cu2 0.4562 0.8444 0.8066  4 Au 2.69-2.70, 4 Pt 2.71-2.72, 4 Cu 2.80-2.82
Au2 0.3537 0.3439 0.0121  9 Cu 2.68-2.70, 3 Pt 2.80-2.86
Pt2 0.8512 0.8439 0.0176  9 Cu 2.62-2.72, 3 Au 2.80-2.86
Cu3 0.6598 0.8451 0.3980  7 Cu 2.61-2.82, 3 Pt 2.62-2.68, 2 Au 2.69
Cu4 0.7513 0.3439 0.2164  7 Cu 2.61-2.82, 3 Pt 2.62-2.68, 2 Au 2.68-2.69
Cu5 0.1577 0.3451 0.4022  7 Cu 2.62-2.80, 2 Pt 2.65-2.66, 3 Au 2.67-2.69
Cu6 0.9551 0.3443 0.8078  4 Au 2.69-2.70, 4 Pt 2.71-2.72, 4 Cu 2.79-2.82

## Properties
>>>
Finally, the lessons from Singapore and South Korea are instructive for business in South Africa. The key lesson is that the interests of each business is intertwined with the national interest. How would you like to own a company like Discovery or Capitec or Shoprite in a future version of South Africa where unemployment is 5% and GDP has doubled every decade for 50 years? Imagine the gains to be created from an economy growing at above 5% and a workforce earning and spending, not a pittance in the form of social grants, but a living wage.
Most importantly, there are lessons for the people of South Africa. Firstly, that economic emancipation is a decades-long process, and does not happen overnight. South Africans can rightly expect to be rich in 2050 if we get our act together in 2020. Secondly, that developing ourselves, through education, and applying ourselves, through labour and innovation, are critical to the recipe for success. We cannot simply look to “the government” or “big business” to solve our poverty, unemployment and inequality problem. Third, and possibly most importantly, we cannot allow our national elites to fail us any longer.
When politicians lie and steal and make bad policy choices, we lose. We lose time and money.
When labour unions strike and debilitate our schools and hospitals, we loose the battle for education and productivity.
When business leaders collude, either with each other or with corrupt officials, they betray our trust and steal our future.
After the coming elections we need to get serious about our future as South Africa. Even as we prepare to vote, we need to ask ourselves, which party is most likely to implement these reforms? Which political leaders, not leader but leaders, are going to make the tough policy choices and fight the factional and stakeholder battles to remove the bottlenecks to our success? Which civil servants are going to arrest the institutional decay in our schools and hospitals and build the universities and colleges to help us unlock our potential as a people? Which business leaders are going to align the national interests with their business interests, and make the investments in infrastructure, education, factories and the like that we need?
It is often said that South Africa suffers from a trust deficit. I wonder if that deficit is not a red herring, distracting us from our real problem, which is a fat-cat elite, preoccupied with their narrow interests and thereby, failing to unite us around our national interests.
So what is South Africa’s future strategic competitive advantage? It is, if we so choose, our ability to take our natural resource endowments, our coastline, climate and geographic proximity to the global south, our historic ties to affluent western nations, and our miracle success story of democratic liberation, and leverage them as a platform for innovations that meet the demands of the young, urban populations of the new world. It is our economic and cultural openness, which if harnessed alongside a dogged focus on self-betterment, will set us apart in the developing world.
I can see a South Africa in 2050 where there is a budding renewable energy sector in the Northern Cape, and a flourishing tourism node in the Eastern Cape alongside a diversified manufacturing sector for Auto 2.0, a agro-processing revolution in the North West and Free State and a high-end manufacturing boom in KwaZulu-Natal. I can see Gauteng serving as the business services and knowledge hub of Africa, and Limpopo and Mpumalanga as a seedbed for mineral beneficiation. In such a future, the greatest portion of Eskom’s revenue is from the delivery of energy projects to growing African economies north of us, similarly Transnet facilitating the manufacturing of logistics infrastructure on behalf of African neighbours. It is a future where South African universities are in alliances with multiple global institutions, rallying researchers around innovation for sustainability, and doing so in partnership with businesses that recognise their stake in Africa’s future.
== Materials data that have nothing to do with the text ==
/*
Entry 1:
Material: HfPaW
Method: DFT, PBE-GGA
State: optimized geometry

abc: 5.7541 5.7541 40.6389
angles: 90.00 90.00 120.00
Space group R-3m (No. 166, hexagonal axes)
Asymmetric unit:
Hf: 0.0000 0.0000 0.0362
Hf: 0.0000 0.0000 0.1806
Hf: 0.0000 0.0000 0.2729
Pa: 0.0134 0.5067 0.7762
W: 0.0000 0.0000 0.3841
W: 0.0000 0.0000 0.5000
W: 0.0000 0.5000 0.0000

Entry 2:
Material: HfPa2W
Method: DFT, PBE-GGA
State: optimized geometry

abc: 3.2311 3.2311 29.9051
angles: 90.00 90.00 120.00
Space group R-3m (No. 166, hexagonal axes)
Asymmetric unit:
Hf: 0.0000 0.0000 0.0000
Pa: 0.0000 0.0000 0.2438
W: 0.0000 0.0000 0.5000

Number 1: theoretical density 15.22 Mg/m³, ΔH_f (0 K) 25.4 kJ/mol of atoms. Number 2: theoretical density 15.19 Mg/m³, ΔH_f (0 K) 41.2 kJ/mol of atoms.

=====

1.
First-principles (PBE) data for crystalline La5Tc3 at its relaxed geometry, as listed in the Alexandria database.

The space group is P6_3/mcm (No. 193) and the conventional cell measures 8.4206, 8.4206 and 6.7719 Å, with angles of 90.00, 90.00 and 120.00 degrees. Symmetry generates all atoms from La at (0.0000, 0.2548, 0.2500), La at (0.3333, 0.6667, 0.0000) and Tc at (0.0000, 0.3787, 0.7500).

As for the polymorph energy (0 for the lowest one): 0.066 eV per atom. Its volume is 415.8 Å³ per cell.

2.
First-principles (PBE) data for crystalline Nd3YHg4 at its relaxed geometry, as listed in the Alexandria database.

The space group is R-3m (No. 166, hexagonal axes) and the conventional cell measures 5.3856, 5.3856 and 26.4901 Å, with angles of 90.00, 90.00 and 120.00 degrees. Symmetry generates all atoms from Nd at (0.0000, 0.0000, 0.0000), Nd at (0.0000, 0.0000, 0.2498), Y at (0.0000, 0.0000, 0.5000), Hg at (0.0000, 0.0000, 0.1267) and Hg at (0.0000, 0.0000, 0.3771).

Its volume is 665.4 Å³ per cell. The total energy is -3.223 eV/atom.
*/
== So much for the materials data ==
The Koreans made the ships to meet China and Singapore’s growing demand and later created the electric appliances used by hundreds of millions around the world. South Africa can become a maker-nation too, but only if we get serious about getting out house in order.
- Marius Oosthuizen is a member of faculty at the Gordon Institute of Business Science, University of Pretoria, South Africa. He teaches leadership, strategy and ethics, and heads up the Future of Business Project that uses strategic foresight methods to explore the future of South Africa, Africa and BRICS.